_To do_
Next, give back the whole of the contents further down exactly.

_Listing_
____________
A plane-wave DFT calculation with PBE-GGA was carried out for an optimized crystal structure of NaErHg6.

Cell and atoms, written as CIF:
```
data_NaErHg6
_symmetry_space_group_name_H-M 'A m m 2'
_symmetry_Int_Tables_number 38
_cell_length_a 5.173
_cell_length_b 6.557
_cell_length_c 11.363
_cell_angle_alpha 90.00
_cell_angle_beta 90.00
_cell_angle_gamma 90.00
loop_
_symmetry_equiv_pos_as_xyz
'x,y,z'
'-x,-y,z'
'-x,y,z'
'x,-y,z'
'x,y+1/2,z+1/2'
'-x,-y+1/2,z+1/2'
'-x,y+1/2,z+1/2'
'x,-y+1/2,z+1/2'
loop_
_atom_site_label
_atom_site_fract_x
_atom_site_fract_y
_atom_site_fract_z
Na1 0.000 0.000 0.000
Er1 0.500 0.000 0.333
Hg1 0.000 0.000 0.500
Hg2 0.000 0.250 0.250
Hg3 0.500 0.000 0.834
Hg4 0.500 0.249 0.584
```

Theoretical density: 12010 kg/m³
Total DFT energy (no corrections): -19.42 eV per cell

=====

Record 1
! PBE PdAu3S, relaxed; values from VASP
&SYSTEM
  ibrav = 0, nat = 5, ntyp = 3
/
ATOMIC_SPECIES
Au 196.97 Au.upf
Pd 106.42 Pd.upf
S 32.06 S.upf
CELL_PARAMETERS angstrom
5.011 0.000 0.000
0.000 5.011 0.000
0.000 0.000 5.011
ATOMIC_POSITIONS angstrom
Au 2.505 0.000 0.000
Pd 0.000 0.000 0.000
S 2.505 2.505 2.505
Au 0.000 2.505 0.000
Au 0.000 0.000 2.505
! Total energy in eV per atom: -2.710
! Magnetization in μB per cell: 0.00
! Space group: Pm-3m, No. 221
! Raw formation energy in eV/atom: 1.121
! Energy above the most stable polymorph in this dataset in eV per atom: 0.563


Record 2
! PBE YGa2HPb, relaxed; values from VASP
&SYSTEM
  ibrav = 0, nat = 5, ntyp = 4
/
ATOMIC_SPECIES
H 1.01 H.upf
Y 88.91 Y.upf
Ga 69.72 Ga.upf
Pb 207.20 Pb.upf
CELL_PARAMETERS angstrom
4.674 0.000 0.000
0.000 4.400 0.000
0.000 0.000 4.674
ATOMIC_POSITIONS angstrom
H 0.000 0.000 0.000
Y 0.000 2.200 0.000
Ga 0.000 0.000 2.337
Pb 2.337 2.200 2.337
Ga 2.337 0.000 0.000
! Total energy in eV per atom: -4.098
! Magnetization in μB per cell: 0.00
! Space group: P4/mmm, No. 123


Record 3
! PBE HfScAlTc, relaxed; values from VASP
&SYSTEM
  ibrav = 0, nat = 4, ntyp = 4
/
ATOMIC_SPECIES
Sc 44.96 Sc.upf
Al 26.98 Al.upf
Hf 178.49 Hf.upf
Tc 98.00 Tc.upf
CELL_PARAMETERS angstrom
-1.573 2.810 -3.389
-2.514 -1.767 -3.523
-4.567 0.949 -0.319
ATOMIC_POSITIONS angstrom
Sc 0.000 0.000 0.000
Al -6.490 1.494 -5.424
Hf -4.327 0.996 -3.616
Tc -2.163 0.498 -1.808
! Total energy in eV per atom: -8.002
! Magnetization in μB per cell: 0.00
! Space group: F-43m, No. 216
! Energy above the most stable polymorph in this dataset in eV per atom: 0.069
! ΔE_f in eV/atom: -0.404


Q: What is the total energy in the second record?
A: -4.098 eV per atom

=====

Record 1
A plane-wave DFT calculation with PBE-GGA was carried out for crystalline La2Mg16Ru at its relaxed geometry.

Cell lengths 7.7644, 7.7644, 7.7644 Å; angles 83.43, 83.43, 83.43 degrees
Last column: nearest neighbours and their distance in Å.
Element x y z (fractional)
La (0.7005, 0.7005, 0.7005)  1 Ru 2.61
La (0.3339, 0.3339, 0.3339)  19 Mg 3.65-3.99
Mg (0.7036, 0.0005, 0.2957)  9 Mg 2.90-3.23
Mg (0.0005, 0.2957, 0.7036)  9 Mg 2.90-3.23
Mg (0.2957, 0.7036, 0.0005)  9 Mg 2.90-3.23
Mg (0.0005, 0.7036, 0.2957)  9 Mg 2.90-3.23
Mg (0.7036, 0.2957, 0.0005)  9 Mg 2.90-3.23
Mg (0.2957, 0.0005, 0.7036)  9 Mg 2.90-3.23
Mg (0.3515, 0.8432, 0.3515)  8 Mg 3.00-3.14
Mg (0.8432, 0.3515, 0.3515)  8 Mg 3.00-3.14
Mg (0.3515, 0.3515, 0.8432)  8 Mg 3.00-3.14
Mg (0.6582, 0.1514, 0.6582)  8 Mg 2.93-3.14, 1 Ru 3.05
Mg (0.1514, 0.6582, 0.6582)  8 Mg 2.93-3.14, 1 Ru 3.05
Mg (0.6582, 0.6582, 0.1514)  8 Mg 2.93-3.14, 1 Ru 3.05
Mg (0.9975, 0.5115, 0.9975)  8 Mg 2.90-3.06, 1 Ru 2.96
Mg (0.5115, 0.9975, 0.9975)  8 Mg 2.90-3.06, 1 Ru 2.96
Mg (0.9975, 0.9975, 0.5115)  8 Mg 2.90-3.06, 1 Ru 2.96
Mg (0.0703, 0.0703, 0.0703)  1 Ru 2.91, 6 Mg 3.23
Ru (0.8753, 0.8753, 0.8753)  1 La 2.61, 1 Mg 2.91

Its calculated formation energy is -0.04 eV/atom. The calculation puts the total energy at -45.39 eV/cell. The calculation puts the size of the total moment at 0.00 μB per formula unit.

Record 2
____________

_Written answer_
A plane-wave DFT calculation with PBE-GGA was carried out for an optimized crystal structure of NaErHg6.

Cell and atoms, written as CIF:
```
data_NaErHg6
_symmetry_space_group_name_H-M 'A m m 2'
_symmetry_Int_Tables_number 38
_cell_length_a 5.173
_cell_length_b 6.557
_cell_length_c 11.363
_cell_angle_alpha 90.00
_cell_angle_beta 90.00
_cell_angle_gamma 90.00
loop_
_symmetry_equiv_pos_as_xyz
'x,y,z'
'-x,-y,z'
'-x,y,z'
'x,-y,z'
'x,y+1/2,z+1/2'
'-x,-y+1/2,z+1/2'
'-x,y+1/2,z+1/2'
'x,-y+1/2,z+1/2'
loop_
_atom_site_label
_atom_site_fract_x
_atom_site_fract_y
_atom_site_fract_z
Na1 0.000 0.000 0.000
Er1 0.500 0.000 0.333
Hg1 0.000 0.000 0.500
Hg2 0.000 0.250 0.250
Hg3 0.500 0.000 0.834
Hg4 0.500 0.249 0.584
```

Theoretical density: 12010 kg/m³
Total DFT energy (no corrections): -19.42 eV per cell

=====

Record 1
! PBE PdAu3S, relaxed; values from VASP
&SYSTEM
  ibrav = 0, nat = 5, ntyp = 3
/
ATOMIC_SPECIES
Au 196.97 Au.upf
Pd 106.42 Pd.upf
S 32.06 S.upf
CELL_PARAMETERS angstrom
5.011 0.000 0.000
0.000 5.011 0.000
0.000 0.000 5.011
ATOMIC_POSITIONS angstrom
Au 2.505 0.000 0.000
Pd 0.000 0.000 0.000
S 2.505 2.505 2.505
Au 0.000 2.505 0.000
Au 0.000 0.000 2.505
! Total energy in eV per atom: -2.710
! Magnetization in μB per cell: 0.00
! Space group: Pm-3m, No. 221
! Raw formation energy in eV/atom: 1.121
! Energy above the most stable polymorph in this dataset in eV per atom: 0.563


Record 2
! PBE YGa2HPb, relaxed; values from VASP
&SYSTEM
  ibrav = 0, nat = 5, ntyp = 4
/
ATOMIC_SPECIES
H 1.01 H.upf
Y 88.91 Y.upf
Ga 69.72 Ga.upf
Pb 207.20 Pb.upf
CELL_PARAMETERS angstrom
4.674 0.000 0.000
0.000 4.400 0.000
0.000 0.000 4.674
ATOMIC_POSITIONS angstrom
H 0.000 0.000 0.000
Y 0.000 2.200 0.000
Ga 0.000 0.000 2.337
Pb 2.337 2.200 2.337
Ga 2.337 0.000 0.000
! Total energy in eV per atom: -4.098
! Magnetization in μB per cell: 0.00
! Space group: P4/mmm, No. 123


Record 3
! PBE HfScAlTc, relaxed; values from VASP
&SYSTEM
  ibrav = 0, nat = 4, ntyp = 4
/
ATOMIC_SPECIES
Sc 44.96 Sc.upf
Al 26.98 Al.upf
Hf 178.49 Hf.upf
Tc 98.00 Tc.upf
CELL_PARAMETERS angstrom
-1.573 2.810 -3.389
-2.514 -1.767 -3.523
-4.567 0.949 -0.319
ATOMIC_POSITIONS angstrom
Sc 0.000 0.000 0.000
Al -6.490 1.494 -5.424
Hf -4.327 0.996 -3.616
Tc -2.163 0.498 -1.808
! Total energy in eV per atom: -8.002
! Magnetization in μB per cell: 0.00
! Space group: F-43m, No. 216
! Energy above the most stable polymorph in this dataset in eV per atom: 0.069
! ΔE_f in eV/atom: -0.404


Q: What is the total energy in the second record?
A: -4.098 eV per atom

=====

Record 1
A plane-wave DFT calculation with PBE-GGA was carried out for crystalline La2Mg16Ru at its relaxed geometry.

Cell lengths 7.7644, 7.7644, 7.7644 Å; angles 83.43, 83.43, 83.43 degrees
Last column: nearest neighbours and their distance in Å.
Element x y z (fractional)
La (0.7005, 0.7005, 0.7005)  1 Ru 2.61
La (0.3339, 0.3339, 0.3339)  19 Mg 3.65-3.99
Mg (0.7036, 0.0005, 0.2957)  9 Mg 2.90-3.23
Mg (0.0005, 0.2957, 0.7036)  9 Mg 2.90-3.23
Mg (0.2957, 0.7036, 0.0005)  9 Mg 2.90-3.23
Mg (0.0005, 0.7036, 0.2957)  9 Mg 2.90-3.23
Mg (0.7036, 0.2957, 0.0005)  9 Mg 2.90-3.23
Mg (0.2957, 0.0005, 0.7036)  9 Mg 2.90-3.23
Mg (0.3515, 0.8432, 0.3515)  8 Mg 3.00-3.14
Mg (0.8432, 0.3515, 0.3515)  8 Mg 3.00-3.14
Mg (0.3515, 0.3515, 0.8432)  8 Mg 3.00-3.14
Mg (0.6582, 0.1514, 0.6582)  8 Mg 2.93-3.14, 1 Ru 3.05
Mg (0.1514, 0.6582, 0.6582)  8 Mg 2.93-3.14, 1 Ru 3.05
Mg (0.6582, 0.6582, 0.1514)  8 Mg 2.93-3.14, 1 Ru 3.05
Mg (0.9975, 0.5115, 0.9975)  8 Mg 2.90-3.06, 1 Ru 2.96
Mg (0.5115, 0.9975, 0.9975)  8 Mg 2.90-3.06, 1 Ru 2.96
Mg (0.9975, 0.9975, 0.5115)  8 Mg 2.90-3.06, 1 Ru 2.96
Mg (0.0703, 0.0703, 0.0703)  1 Ru 2.91, 6 Mg 3.23
Ru (0.8753, 0.8753, 0.8753)  1 La 2.61, 1 Mg 2.91

Its calculated formation energy is -0.04 eV/atom. The calculation puts the total energy at -45.39 eV/cell. The calculation puts the size of the total moment at 0.00 μB per formula unit.

Record 2